## Job
Write out every line further down that contains the word "nearest", please.

## Entries
+++
Density functional theory data (GGA-PBE) for a relaxed structure of MoIBr3.

abc: 7.1489 7.1562 9.0412
angles: 79.51 67.78 60.05
Fractional coordinates of all 10 atoms:
Mo1 0.0000 0.0000 0.0000
Mo2 0.3362 0.3276 0.9999
I1 0.7260 0.6628 0.8884
I2 0.8693 0.6619 0.5648
Br1 0.1882 0.0547 0.1838
Br2 0.2407 0.1824 0.8048
Br3 0.2859 0.6617 0.8087
Br4 0.5772 0.2774 0.1836
Br5 0.7616 0.1412 0.8047
Br6 0.9612 0.6655 0.1815

Output
ΔE_f (raw): -17.7 kJ/mol of atoms
ΔE to the lowest computed polymorph: 1.033 eV per formula unit
V: 37.098 Å³ per atom

***

Density functional theory data (GGA-PBE) for a relaxed structure of Ag6BiAu2.

abc: 8.4909 8.4909 2.9649
angles: 99.69 99.69 57.77
Fractional coordinates of all 9 atoms:
Ag1 0.1459 0.5031 0.8228
Ag2 0.1665 0.8335 0.0000
Ag3 0.4969 0.8541 0.1772
Ag4 0.5031 0.1459 0.8228
Ag5 0.8335 0.1665 0.0000
Ag6 0.8541 0.4969 0.1772
Bi1 0.5000 0.5000 0.5000
Au1 0.1524 0.1524 0.6503
Au2 0.8476 0.8476 0.3497

Output
V: 19.716 Å³ per atom
Energy of formation: 79 meV/atom
DOS(E_F): 0.3140 states/eV per atom

***

> Look up the V of the first one.

37.098 Å³ per atom

***

> Which value of V does entry 2 give?

19.716 Å³ per atom

***

What did the second record say?
Density functional theory data (GGA-PBE) for a relaxed structure of Ag6BiAu2.

abc: 8.4909 8.4909 2.9649
angles: 99.69 99.69 57.77
Fractional coordinates of all 9 atoms:
Ag1 0.1459 0.5031 0.8228
Ag2 0.1665 0.8335 0.0000
Ag3 0.4969 0.8541 0.1772
Ag4 0.5031 0.1459 0.8228
Ag5 0.8335 0.1665 0.0000
Ag6 0.8541 0.4969 0.1772
Bi1 0.5000 0.5000 0.5000
Au1 0.1524 0.1524 0.6503
Au2 0.8476 0.8476 0.3497

Output
V: 19.716 Å³ per atom
Energy of formation: 79 meV/atom
DOS(E_F): 0.3140 states/eV per atom

***

> Which value of V does entry 1 give?

37.098 Å³ per atom


Entry 1:
Computed, not measured: Sr2ZrCl after structural relaxation at the GGA-PBEsol level of DFT.

Unit cell a=3.4026 b=5.8757 c=6.7955 alpha=115.62 beta=104.50 gamma=90.00
Last column: nearest neighbours and their distance in Å.
Element x y z (fractional)
Zr: 0.5487 0.5487 0.0973  2 Cl 2.76
Sr: 0.7634 0.2634 0.5268  4 Sr 3.40-3.71, 4 Cl 3.41, 2 Zr 3.76
Sr: 0.9552 0.9552 0.9103  2 Cl 3.12, 2 Sr 3.40
Cl: 0.2327 0.7327 0.4655  2 Zr 2.76

The space-group type is No. 44. The calculation puts the formation energy (no corrections) at -252 meV/atom.



Entry 2:
Computed, not measured: TaCl4 after structural relaxation at the GGA-PBEsol level of DFT.

Unit cell a=3.3151 b=3.3151 c=9.8233 alpha=99.71 beta=99.71 gamma=90.00
Last column: nearest neighbours and their distance in Å.
Element x y z (fractional)
Cl: 0.5754 0.5754 0.1507  4 Ta 2.75, 1 Cl 2.88
Cl: 0.4246 0.4246 0.8493  4 Ta 2.75, 1 Cl 2.88
Cl: 0.7500 0.2500 0.5000  4 Cl 2.34
Cl: 0.2500 0.7500 0.5000  4 Cl 2.34
Ta: 0.0000 0.0000 0.0000  8 Cl 2.75

The space-group type is No. 139. The calculation puts the formation energy (no corrections) at 96 meV/atom.



Entry 3:
Computed, not measured: TaCl4 after structural relaxation at the GGA-PBEsol level of DFT.

Unit cell a=6.7087 b=6.9610 c=7.1744 alpha=72.66 beta=62.12 gamma=61.19
Last column: nearest neighbours and their distance in Å.
Element x y z (fractional)
Cl: 0.1798 0.7948 0.8456  2 Ta 2.51
Cl: 0.2767 0.2493 0.7063  1 Ta 2.30
Cl: 0.7233 0.7507 0.2937  1 Ta 2.30
Cl: 0.8202 0.2052 0.1544  2 Ta 2.51
Cl: 0.7065 0.7643 0.8226  2 Ta 2.41
Cl: 0.2935 0.2357 0.1774  2 Ta 2.41
Cl: 0.7677 0.2493 0.7063  1 Ta 2.30
Cl: 0.2323 0.7507 0.2937  1 Ta 2.30
Ta: 0.2797 0.0000 0.0000  6 Cl 2.30-2.51
Ta: 0.7203 0.0000 0.0000  6 Cl 2.30-2.51

The space-group type is No. 12. The calculation puts the formation energy (no corrections) at -1299 meV/atom.



Entry 4:
Computed, not measured: Ta2Cl after structural relaxation at the GGA-PBEsol level of DFT.

Unit cell a=2.9488 b=5.4101 c=7.2041 alpha=113.12 beta=101.81 gamma=90.00
Last column: nearest neighbours and their distance in Å.
Element x y z (fractional)
Ta: 0.4260 0.6240 0.8521  3 Cl 2.60-2.82, 2 Ta 2.72
Ta: 0.0891 0.5172 0.1782  3 Cl 2.46-2.51
+++

## Result
Last column: nearest neighbours and their distance in Å.
Last column: nearest neighbours and their distance in Å.
Last column: nearest neighbours and their distance in Å.
Last column: nearest neighbours and their distance in Å.